== Brief ==
Your job: print the whole of the listing further down with every line break kept.
== Source ==
+++
Record 1
The following is a PBE calculation of crystalline Pu5Sb4H at its relaxed geometry, from Alexandria via LeMat-Bulk.

Lattice parameters (Å, degrees): 6.226 7.385 7.385 79.77 65.07 65.07
Element x y z (fractional)
1 Pu 0.742 0.174 0.362
2 Pu 0.105 0.638 0.174
3 Pu 0.395 0.000 0.000
4 Pu 0.279 0.826 0.638
5 Pu 0.917 0.362 0.826
6 Sb 0.429 0.387 0.781
7 Sb 0.816 0.781 0.613
8 Sb 0.210 0.219 0.387
9 Sb 0.598 0.613 0.219
10 H 0.019 0.000 0.000

- Crystal system: tetragonal
- Theoretical density: 10.16 g cm⁻³
- Space group: I4 (79)
- Total energy: -9.5739 eV per atom

***

Record 2
The following is a PBE calculation of crystalline Pu4Sb2H3 at its relaxed geometry, from Alexandria via LeMat-Bulk.

Lattice parameters (Å, degrees): 5.948 7.445 8.380 90.00 110.79 90.00
Element x y z (fractional)
1 H 0.459 0.250 0.418
2 H 0.500 0.500 0.000
3 H 0.000 0.000 0.000
4 H 0.041 0.750 0.582
5 H 0.541 0.750 0.582
6 H 0.959 0.250 0.418
7 Sb 0.115 0.587 0.230
8 Sb 0.885 0.413 0.770
9 Sb 0.615 0.913 0.230
10 Sb 0.385 0.087 0.770
11 Pu 0.701 0.543 0.402
12 Pu 0.294 0.250 0.089
13 Pu 0.706 0.750 0.911
14 Pu 0.299 0.457 0.598
15 Pu 0.201 0.957 0.402
16 Pu 0.206 0.750 0.911
17 Pu 0.799 0.043 0.598
18 Pu 0.794 0.250 0.089

- Crystal system: orthorhombic
- Theoretical density: 11.70 g cm⁻³
- Space group: Cmce (64)
- Total energy: -8.8197 eV per atom

***

Record 3
The following is a PBE calculation of crystalline Pu3SbH2 at its relaxed geometry, from Alexandria via LeMat-Bulk.

Lattice parameters (Å, degrees): 3.501 8.612 8.038 116.26 102.58 90.00
Element x y z (fractional)
1 Pu 0.830 0.199 0.661
2 Pu 0.438 0.639 0.876
3 Pu 0.735 0.688 0.470
4 Pu 0.265 0.312 0.530
5 Pu 0.170 0.801 0.339
6 Pu 0.562 0.361 0.124
7 H 0.876 0.692 0.751
8 H 0.717 0.412 0.435
9 H 0.283 0.588 0.565
10 H 0.124 0.308 0.249
11 Sb 0.606 0.025 0.211
12 Sb 0.394 0.975 0.789

- Crystal system: monoclinic
- Theoretical density: 13.48 g cm⁻³
- Space group: C2/m (12)
- E above lowest polymorph: 133 meV per atom

***

Record 4
The following is a PBE calculation of crystalline Pu6Sb3H at its relaxed geometry, from Alexandria via LeMat-Bulk.

Lattice parameters (Å, degrees): 7.613 7.688 7.688 79.73 90.00 90.00
Element x y z (fractional)
1 Pu 0.159 0.492 0.819
2 Pu 0.669 0.165 0.835
3 Pu 0.738 0.492 0.819
4 Pu 0.169 0.835 0.165
5 Pu 0.238 0.508 0.181
6 Pu 0.728 0.835 0.165
7 Pu 0.659 0.819 0.492
8 Pu 0.238 0.819 0.492
9 Pu 0.659 0.508 0.181
10 Pu 0.738 0.181 0.508
11 Pu 0.228 0.165 0.835
12 Pu 0.159 0.181 0.508
13 Sb 0.449 0.792 0.863
14 Sb 0.449 0.452 0.548
15 Sb 0.949 0.208 0.137
16 Sb 0.449 0.137 0.208
17 Sb 0.949 0.548 0.452
18 Sb 0.949 0.863 0.792
19 H 0.449 0.734 0.266
20 H 0.949 0.266 0.734

- Crystal system: orthorhombic
- Theoretical density: 13.73 g cm⁻³
- Space group: Cmcm (63)
- Total energy: -10.4506 eV per atom


Record 1
! SrCuSe, optimized geometry, DFT PBE; values from VASP
&SYSTEM
  ibrav = 0, nat = 3, ntyp = 3
/
ATOMIC_SPECIES
Se 78.96 Se.upf
Sr 87.62 Sr.upf
Cu 63.55 Cu.upf
CELL_PARAMETERS angstrom
4.9836 0.0000 0.0000
2.4918 4.3159 0.0000
2.4918 1.4386 4.0691
ATOMIC_POSITIONS crystal
Se 0.5000 0.5000 0.5000
Sr 0.2500 0.2500 0.2500
Cu 0.0000 0.0000 0.0000
! uncorrected energy	-3.483	eV/atom
! raw formation energy	-0.396	eV/atom
! density of states at the Fermi level	1.39	states/eV per cell
! total magnetization	0.0	μB/f.u.
! space-group type	F-43m
! excess energy over the best structure of this formula in the dataset	415	meV/atom

Record 2
! Ac2HoAlS6, optimized geometry, DFT PBE; values from VASP
&SYSTEM
  ibrav = 0, nat = 10, ntyp = 4
/
ATOMIC_SPECIES
S 32.06 S.upf
Ac 227.00 Ac.upf
Ho 164.93 Ho.upf
Al 26.98 Al.upf
CELL_PARAMETERS angstrom
7.0447 0.0000 -0.4296
0.0000 6.8668 0.0000
-3.4087 -3.4334 5.1707
ATOMIC_POSITIONS crystal
S 0.7923 0.2979 0.1149
S 0.2077 0.7021 0.8851
S 0.2077 0.1830 0.8851
S 0.3640 0.7635 0.5270
S 0.6360 0.2365 0.4730
S 0.7923 0.8170 0.1149
Ac 0.2354 0.2558 0.5116
Ac 0.7646 0.7442 0.4884
Ho 0.0000 0.5000 0.0000
Al 0.5000 0.0000 0.0000
+++
== Response ==
Record 1
The following is a PBE calculation of crystalline Pu5Sb4H at its relaxed geometry, from Alexandria via LeMat-Bulk.

Lattice parameters (Å, degrees): 6.226 7.385 7.385 79.77 65.07 65.07
Element x y z (fractional)
1 Pu 0.742 0.174 0.362
2 Pu 0.105 0.638 0.174
3 Pu 0.395 0.000 0.000
4 Pu 0.279 0.826 0.638
5 Pu 0.917 0.362 0.826
6 Sb 0.429 0.387 0.781
7 Sb 0.816 0.781 0.613
8 Sb 0.210 0.219 0.387
9 Sb 0.598 0.613 0.219
10 H 0.019 0.000 0.000

- Crystal system: tetragonal
- Theoretical density: 10.16 g cm⁻³
- Space group: I4 (79)
- Total energy: -9.5739 eV per atom

***

Record 2
The following is a PBE calculation of crystalline Pu4Sb2H3 at its relaxed geometry, from Alexandria via LeMat-Bulk.

Lattice parameters (Å, degrees): 5.948 7.445 8.380 90.00 110.79 90.00
Element x y z (fractional)
1 H 0.459 0.250 0.418
2 H 0.500 0.500 0.000
3 H 0.000 0.000 0.000
4 H 0.041 0.750 0.582
5 H 0.541 0.750 0.582
6 H 0.959 0.250 0.418
7 Sb 0.115 0.587 0.230
8 Sb 0.885 0.413 0.770
9 Sb 0.615 0.913 0.230
10 Sb 0.385 0.087 0.770
11 Pu 0.701 0.543 0.402
12 Pu 0.294 0.250 0.089
13 Pu 0.706 0.750 0.911
14 Pu 0.299 0.457 0.598
15 Pu 0.201 0.957 0.402
16 Pu 0.206 0.750 0.911
17 Pu 0.799 0.043 0.598
18 Pu 0.794 0.250 0.089

- Crystal system: orthorhombic
- Theoretical density: 11.70 g cm⁻³
- Space group: Cmce (64)
- Total energy: -8.8197 eV per atom

***

Record 3
The following is a PBE calculation of crystalline Pu3SbH2 at its relaxed geometry, from Alexandria via LeMat-Bulk.

Lattice parameters (Å, degrees): 3.501 8.612 8.038 116.26 102.58 90.00
Element x y z (fractional)
1 Pu 0.830 0.199 0.661
2 Pu 0.438 0.639 0.876
3 Pu 0.735 0.688 0.470
4 Pu 0.265 0.312 0.530
5 Pu 0.170 0.801 0.339
6 Pu 0.562 0.361 0.124
7 H 0.876 0.692 0.751
8 H 0.717 0.412 0.435
9 H 0.283 0.588 0.565
10 H 0.124 0.308 0.249
11 Sb 0.606 0.025 0.211
12 Sb 0.394 0.975 0.789

- Crystal system: monoclinic
- Theoretical density: 13.48 g cm⁻³
- Space group: C2/m (12)
- E above lowest polymorph: 133 meV per atom

***

Record 4
The following is a PBE calculation of crystalline Pu6Sb3H at its relaxed geometry, from Alexandria via LeMat-Bulk.

Lattice parameters (Å, degrees): 7.613 7.688 7.688 79.73 90.00 90.00
Element x y z (fractional)
1 Pu 0.159 0.492 0.819
2 Pu 0.669 0.165 0.835
3 Pu 0.738 0.492 0.819
4 Pu 0.169 0.835 0.165
5 Pu 0.238 0.508 0.181
6 Pu 0.728 0.835 0.165
7 Pu 0.659 0.819 0.492
8 Pu 0.238 0.819 0.492
9 Pu 0.659 0.508 0.181
10 Pu 0.738 0.181 0.508
11 Pu 0.228 0.165 0.835
12 Pu 0.159 0.181 0.508
13 Sb 0.449 0.792 0.863
14 Sb 0.449 0.452 0.548
15 Sb 0.949 0.208 0.137
16 Sb 0.449 0.137 0.208
17 Sb 0.949 0.548 0.452
18 Sb 0.949 0.863 0.792
19 H 0.449 0.734 0.266
20 H 0.949 0.266 0.734

- Crystal system: orthorhombic
- Theoretical density: 13.73 g cm⁻³
- Space group: Cmcm (63)
- Total energy: -10.4506 eV per atom


Record 1
! SrCuSe, optimized geometry, DFT PBE; values from VASP
&SYSTEM
  ibrav = 0, nat = 3, ntyp = 3
/
ATOMIC_SPECIES
Se 78.96 Se.upf
Sr 87.62 Sr.upf
Cu 63.55 Cu.upf
CELL_PARAMETERS angstrom
4.9836 0.0000 0.0000
2.4918 4.3159 0.0000
2.4918 1.4386 4.0691
ATOMIC_POSITIONS crystal
Se 0.5000 0.5000 0.5000
Sr 0.2500 0.2500 0.2500
Cu 0.0000 0.0000 0.0000
! uncorrected energy	-3.483	eV/atom
! raw formation energy	-0.396	eV/atom
! density of states at the Fermi level	1.39	states/eV per cell
! total magnetization	0.0	μB/f.u.
! space-group type	F-43m
! excess energy over the best structure of this formula in the dataset	415	meV/atom

Record 2
! Ac2HoAlS6, optimized geometry, DFT PBE; values from VASP
&SYSTEM
  ibrav = 0, nat = 10, ntyp = 4
/
ATOMIC_SPECIES
S 32.06 S.upf
Ac 227.00 Ac.upf
Ho 164.93 Ho.upf
Al 26.98 Al.upf
CELL_PARAMETERS angstrom
7.0447 0.0000 -0.4296
0.0000 6.8668 0.0000
-3.4087 -3.4334 5.1707
ATOMIC_POSITIONS crystal
S 0.7923 0.2979 0.1149
S 0.2077 0.7021 0.8851
S 0.2077 0.1830 0.8851
S 0.3640 0.7635 0.5270
S 0.6360 0.2365 0.4730
S 0.7923 0.8170 0.1149
Ac 0.2354 0.2558 0.5116
Ac 0.7646 0.7442 0.4884
Ho 0.0000 0.5000 0.0000
Al 0.5000 0.0000 0.0000